********
Starting from a crystal structure in Alexandria, relaxed with PBE+U, the powder XRD pattern of Li4Co3O7 was calculated for copper Kα.

Structure:
Unit cell a=4.953 b=5.040 c=10.474 alpha=85.17 beta=77.81 gamma=72.20
Space group P-1 (No. 2)
Symmetry-distinct sites (fractional):
1 Li 0.000 0.000 0.000 (multiplicity 1)
2 Li 0.067 0.500 0.861 (multiplicity 2)
3 Li 0.219 0.500 0.568 (multiplicity 2)
4 Li 0.366 0.493 0.280 (multiplicity 2)
5 Li 0.500 0.500 0.000 (multiplicity 1)
6 Co 0.136 0.006 0.723 (multiplicity 2)
7 Co 0.292 0.002 0.425 (multiplicity 2)
8 Co 0.427 0.996 0.136 (multiplicity 2)
9 O 0.030 0.778 0.423 (multiplicity 2)
10 O 0.123 0.217 0.270 (multiplicity 2)
11 O 0.200 0.764 0.143 (multiplicity 2)
12 O 0.286 0.219 0.001 (multiplicity 2)
13 O 0.323 0.785 0.849 (multiplicity 2)
14 O 0.397 0.222 0.725 (multiplicity 2)
15 O 0.476 0.760 0.568 (multiplicity 2)

Main lines, in order of rising 2θ (10° ≤ 2θ ≤ 90°):
2theta	I (rel.)	h k l
18.49	100	0 1 0
35.62	15	1 0 -3
42.89	29	-1 1 3
44.38	26	1 -1 4
44.91	25	2 2 1
63.61	14	1 3 4

----------

# CuNi2P2O8
Computed powder diffraction line list, Cu Kα, 1.54184 Å. Input: DFT lattice parameters and positions (PBE+U).
Neutral-atom scattering factors, no anomalous dispersion.

Structural model:
a b c (Å): 4.7305 9.5785 7.9845
angles (deg): 90.00 125.84 90.00
Space group P2_1/c (No. 14)
Asymmetric unit:
Cu: 0.0000 0.0000 0.0000 (multiplicity 2)
Ni: 0.1748 0.1256 0.6482 (multiplicity 4)
P: 0.3396 0.6762 0.3503 (multiplicity 4)
O: 0.0839 0.5824 0.1600 (multiplicity 4)
O: 0.2152 0.6726 0.8253 (multiplicity 4)
O: 0.2982 0.1758 0.1149 (multiplicity 4)
O: 0.3873 0.6112 0.5461 (multiplicity 4)

The 6 most intense peaks (2θ from 10° to 90°), in order of rising 2θ:
| Position (°2θ) | I (rel.) | index |
| --- | --- | --- |
| 20.95 | 44 | 1 1 -1 |
| 23.16 | 46 | 1 0 0 |
| 23.39 | 40 | 1 0 -2 |
| 29.13 | 100 | 0 1 2 |
| 33.87 | 84 | 1 3 -1 |
| 38.05 | 49 | 2 0 -2 |
********

Return only the last part of the data further up, starting with the line that has "crystal structure".

Starting from a crystal structure in Alexandria, relaxed with PBE+U, the powder XRD pattern of Li4Co3O7 was calculated for copper Kα.

Structure:
Unit cell a=4.953 b=5.040 c=10.474 alpha=85.17 beta=77.81 gamma=72.20
Space group P-1 (No. 2)
Symmetry-distinct sites (fractional):
1 Li 0.000 0.000 0.000 (multiplicity 1)
2 Li 0.067 0.500 0.861 (multiplicity 2)
3 Li 0.219 0.500 0.568 (multiplicity 2)
4 Li 0.366 0.493 0.280 (multiplicity 2)
5 Li 0.500 0.500 0.000 (multiplicity 1)
6 Co 0.136 0.006 0.723 (multiplicity 2)
7 Co 0.292 0.002 0.425 (multiplicity 2)
8 Co 0.427 0.996 0.136 (multiplicity 2)
9 O 0.030 0.778 0.423 (multiplicity 2)
10 O 0.123 0.217 0.270 (multiplicity 2)
11 O 0.200 0.764 0.143 (multiplicity 2)
12 O 0.286 0.219 0.001 (multiplicity 2)
13 O 0.323 0.785 0.849 (multiplicity 2)
14 O 0.397 0.222 0.725 (multiplicity 2)
15 O 0.476 0.760 0.568 (multiplicity 2)

Main lines, in order of rising 2θ (10° ≤ 2θ ≤ 90°):
2theta	I (rel.)	h k l
18.49	100	0 1 0
35.62	15	1 0 -3
42.89	29	-1 1 3
44.38	26	1 -1 4
44.91	25	2 2 1
63.61	14	1 3 4

----------

# CuNi2P2O8
Computed powder diffraction line list, Cu Kα, 1.54184 Å. Input: DFT lattice parameters and positions (PBE+U).
Neutral-atom scattering factors, no anomalous dispersion.

Structural model:
a b c (Å): 4.7305 9.5785 7.9845
angles (deg): 90.00 125.84 90.00
Space group P2_1/c (No. 14)
Asymmetric unit:
Cu: 0.0000 0.0000 0.0000 (multiplicity 2)
Ni: 0.1748 0.1256 0.6482 (multiplicity 4)
P: 0.3396 0.6762 0.3503 (multiplicity 4)
O: 0.0839 0.5824 0.1600 (multiplicity 4)
O: 0.2152 0.6726 0.8253 (multiplicity 4)
O: 0.2982 0.1758 0.1149 (multiplicity 4)
O: 0.3873 0.6112 0.5461 (multiplicity 4)

The 6 most intense peaks (2θ from 10° to 90°), in order of rising 2θ:
| Position (°2θ) | I (rel.) | index |
| --- | --- | --- |
| 20.95 | 44 | 1 1 -1 |
| 23.16 | 46 | 1 0 0 |
| 23.39 | 40 | 1 0 -2 |
| 29.13 | 100 | 0 1 2 |
| 33.87 | 84 | 1 3 -1 |
| 38.05 | 49 | 2 0 -2 |